Is a Return Visit Considered an Action?

We previously established that a bounce is considered an action, and I have since learned to subtract bounces from the total number of actions before reporting average visitor behavior.

This time, I would like to know whether a return visit is considered an action.


A bounce is not really an action rather than the lack of another action after the first pageview.

A returning visit is just an action like a normal visit, just that the user was there before. It’s just another “visit property”.

In the end, what is important is how actions are counted, and not how they are interpreted, for the interpretation can vary according to one’s objective. When I previously asked whether a bounce is counted as an action, I was told yes. In other words, the value of nb_actions increases by one when a visitor bounces. Do you no longer agree on this point?

So, which of the following would be accurate for a return visitor who bounces?

********
## Mn3CrP4O16 (GGA+U)

Data for a geometry-optimized Mn3CrP4O16 structure.

abc: 4.8632 5.9719 9.8574
angles: 90.00 90.72 90.00
Closest atoms and distances in Å follow each position.
Fractional positions:
Mn  0.0000  0.0000  0.0000  4 O 1.89-2.06
Mn  0.1310  0.5000  0.4363  4 O 1.91-2.01
Mn  0.6339  0.0000  0.5042  4 O 1.92-2.00
Cr  0.5277  0.5000  0.9440  6 O 1.96-2.11
P  0.1493  0.0000  0.3184  4 O 1.54-1.56
P  0.4748  0.0000  0.8179  4 O 1.54-1.57
P  0.6587  0.5000  0.6218  4 O 1.52-1.57
P  0.9772  0.5000  0.1231  4 O 1.51-1.59
O  0.2074  0.0000  0.1651  1 P 1.54
O  0.2858  0.5000  0.1038  1 P 1.51
O  0.2964  0.2015  0.3891  1 P 1.56
O  0.2964  0.7985  0.3891  1 P 1.56
O  0.3356  0.2043  0.8895  1 P 1.57
O  0.3356  0.7957  0.8895  1 P 1.57
O  0.3437  0.5000  0.6006  1 P 1.54
O  0.4141  0.0000  0.6645  1 P 1.54
O  0.7274  0.5000  0.7730  1 P 1.52
O  0.7914  0.0000  0.8367  1 P 1.55
O  0.8000  0.2988  0.5483  1 P 1.57
O  0.8000  0.7012  0.5483  1 P 1.57
O  0.8217  0.3016  0.0473  1 P 1.59
O  0.8217  0.6984  0.0473  1 P 1.59
O  0.8360  0.0000  0.3384  1 P 1.54
O  0.9064  0.5000  0.2740  1 P 1.53

Summary:
final energy: -179.13 eV for the cell shown
formation enthalpy at 0 K: -2.47 eV per atom
maximum piezoelectric response: 0.4 C/m²
symmetry: Pm, No. 6
crystal system: monoclinic

~~~~~

A relaxed structure of Li6MnFe5B6O18, computed with PBE+U.

Lattice parameters (Å, degrees): 3.1367 8.2529 14.2602 89.94 90.00 90.00
Closest atoms and distances in Å follow each position.
Fractional coordinates of all 36 atoms:
Li 0.5000 0.7063 0.9903  4 O 1.98-2.01
Li 0.5000 0.6592 0.3575  4 O 1.98-2.01
Li 0.5000 0.6339 0.6512  4 O 1.98-2.01
Li 0.5000 0.2067 0.4919  4 O 1.97-2.01
Li 0.5000 0.1599 0.8572  4 O 1.98-2.00
Li 0.5000 0.1349 0.1507  4 O 1.96-2.01
Mn 0.0000 0.8082 0.1798  5 O 2.09-2.18
Fe 0.0000 0.8631 0.5043  5 O 2.03-2.17
Fe 0.0000 0.8250 0.8161  5 O 2.04-2.17
Fe 0.0000 0.3622 0.0038  5 O 2.03-2.17
Fe 0.0000 0.3246 0.3165  5 O 2.03-2.17
Fe 0.0000 0.3115 0.6799  5 O 2.04-2.17
B 0.5000 0.0001 0.6666  3 O 1.39
B 0.0000 0.0015 0.9998  3 O 1.38-1.40
B 0.5000 0.0011 0.3345  3 O 1.39
B 0.5000 0.4977 0.1662  3 O 1.39-1.40
B 0.0000 0.5001 0.5002  3 O 1.39
B 0.5000 0.5001 0.8333  3 O 1.39
O 0.5000 0.9896 0.4318  1 B 1.39
O 0.5000 0.9825 0.7639  1 B 1.39
O 0.5000 0.8633 0.6094  1 B 1.39
O 0.5000 0.8611 0.2807  1 B 1.39
O 0.0000 0.8483 0.9582  1 B 1.40
O 0.5000 0.6514 0.1252  1 B 1.40
O 0.5000 0.6521 0.7909  1 B 1.39
O 0.0000 0.6392 0.4449  1 B 1.39
O 0.0000 0.5129 0.5975  1 B 1.39
O 0.5000 0.4875 0.9305  1 B 1.39
O 0.5000 0.4823 0.2635  1 B 1.39
O 0.5000 0.3612 0.1092  1 B 1.39
O 0.5000 0.3608 0.7785  1 B 1.39
O 0.0000 0.3480 0.4581  1 B 1.39
O 0.5000 0.1546 0.6270  1 B 1.39
O 0.5000 0.1524 0.2912  1 B 1.39
O 0.0000 0.1395 0.9433  1 B 1.39
O 0.0000 0.0172 0.0964  1 B 1.38

- SG = Pm (6)
- M_tot (μB per formula unit) = 25.000

---

A relaxed structure of Li2MnFeB2O6, computed with PBE+U.

Lattice parameters (Å, degrees): 5.1802 5.9956 9.1331 104.10 89.90 113.23
********

nb_visits_returning (+1)
nb_actions_returning (no change)
bounce_count_returning (+1)

nb_visits_returning (+1)
nb_actions_returning (+1)
bounce_count_returning (+1)


Please provide, if appropriate.


Roddy, unfortunately, it seems like you’re really trying hard to get the concept wrong. A bounce is a pageview action with the lack of an adjacent action that follows this pageview wihtin a visit. There is nothing like a special action for bounces or a bounce action. Nothing wrong with what I said.

Inserted here: records of crystals:
........
--- A ---
A plane-wave DFT calculation with PBE-GGA was carried out for TaCr3Cu2S8 after structural relaxation.

abc: 5.706 7.048 12.017
angles: 90.00 90.62 90.00
Space group P2_1/m (No. 11)
Symmetry-distinct sites (fractional):
Ta1 0.021 0.250 0.249
Cr1 0.000 0.000 0.500
Cr2 0.481 0.250 0.744
Cr3 0.500 0.000 0.000
Cu1 0.090 0.250 0.907
Cu2 0.392 0.250 0.407
S1 0.217 0.750 0.582
S2 0.236 0.250 0.582
S3 0.239 0.512 0.331
S4 0.258 0.250 0.083
S5 0.265 0.507 0.831
S6 0.299 0.750 0.087

Summary:
Crystal system ... monoclinic
V ... 483 Å³/cell

--- B ---
A plane-wave DFT calculation with PBE-GGA was carried out for TaCr3Cu2S8 after structural relaxation.

abc: 5.793 6.921 5.968
angles: 90.00 91.76 90.00
Space group P2/m (No. 10)
Symmetry-distinct sites (fractional):
Ta1 0.000 0.000 0.000
Cr1 0.000 0.248 0.500
Cr2 0.000 0.500 0.000
Cu1 0.500 0.258 0.500
S1 0.232 0.500 0.673
S2 0.240 0.255 0.176
S3 0.250 0.000 0.672

Summary:
Crystal system ... monoclinic
V ... 239 Å³/cell

Relative energy table, unit meV/atom: A 0; B 10

--- A ---
A plane-wave DFT calculation with PBE-GGA was carried out for TaCr3Cu2S8 after structural relaxation.

abc: 6.384 7.255 12.255
angles: 97.26 94.58 90.70
Space group P-1 (No. 2)
Symmetry-distinct sites (fractional):
Ta1 0.143 0.203 0.301
Cr1 0.244 0.381 0.000
Cr2 0.366 0.061 0.713
Cr3 0.367 0.545 0.708
Cu1 0.119 0.697 0.286
Cu2 0.263 0.869 0.003
S1 0.099 0.648 0.098
S2 0.108 0.154 0.111
S3 0.191 0.282 0.636
S4 0.193 0.787 0.632
S5 0.314 0.479 0.371
S6 0.317 0.955 0.366
S7 0.386 0.103 0.898
S8 0.411 0.594 0.895

Summary:
Crystal system ... triclinic
V ... 561 Å³/cell

--- B ---
A plane-wave DFT calculation with PBE-GGA was carried out for TaCr3Cu2S8 after structural relaxation.

abc: 5.867 6.988 5.948
angles: 90.00 93.30 90.00
Space group P2/m (No. 10)
Symmetry-distinct sites (fractional):
Ta1 0.000 0.000 0.000
Cr1 0.000 0.251 0.500
Cr2 0.000 0.500 0.000
Cu1 0.500 0.000 0.000
Cu2 0.500 0.500 0.000
S1 0.220 0.500 0.678
S2 0.237 0.000 0.672
S3 0.243 0.254 0.180

Summary:
Crystal system ... monoclinic
V ... 243 Å³/cell

--- C ---
A plane-wave DFT calculation with PBE-GGA was carried out for TaCr3Cu2S8 after structural relaxation.

abc: 6.489 7.121 12.444
angles: 90.00 98.75 90.00
Space group P2_1/m (No. 11)
Symmetry-distinct sites (fractional):
Ta1 0.007 0.250 0.178
Cr1 0.108 0.250 0.430
Cr2 0.379 0.750 0.929
Cr3 0.488 0.250 0.273
Cu1 0.244 0.250 0.896
Cu2 0.335 0.750 0.404
S1 0.129 0.750 0.026
S2 0.227 0.036 0.317
S3 0.234 0.750 0.571
S4 0.279 0.522 0.808
S5 0.289 0.250 0.080
S6 0.316 0.250 0.577

Summary:
Crystal system ... monoclinic
V ... 568 Å³/cell

--- D ---
A plane-wave DFT calculation with PBE-GGA was carried out for TaCr3Cu2S8 after structural relaxation.

abc: 7.1402 7.1402 16.8752
angles: 90.00 90.00 120.00
Space group R-3m (No. 166, hexagonal axes)
Symmetry-distinct sites (fractional):
Ta1 0.0000 0.0000 0.0000
Cr1 0.0000 0.5000 0.5000
Cu1 0.0000 0.0000 0.3742
S1 0.0000 0.0000 0.2404
S2 0.0140 0.5070 0.7537

Summary:
........

Hi, Peter!

OK. So, I will try again, but please play by my rules, for they are clearly the unambiguous rules of Matomo – namely, Matomo’s generated statistics. Once I have command of these, I can work the magic of the English language into what would likely be a clear statement of understanding for all English speakers.

Which of the following is an accurate MATOMO description of a bounce for a first time visitor?

Source ==> Matomo Statisitc (Registered Change)
API.VisitsSummary.get ==> nb_visits (+1)
API.VisitsSummary.get ==> nb_actions (no change)
API.VisitsSummary.get ==> bounce_count (+1)

Source ==> Matomo Statisitc (Registered Change)
API.VisitsSummary.get ==> nb_visits (+1)
API.VisitsSummary.get ==> nb_actions (+1)
API.VisitsSummary.get ==> bounce_count (+1)

If neither of these is correct, please provide your own statistical interpretation of a bounce.

Source ==> Matomo Statisitc (Registered Change)
API.VisitsSummary.get ==> nb_visits (fill in here)
API.VisitsSummary.get ==> nb_actions (fill in here)
API.VisitsSummary.get ==> bounce_count (fill in here)
